## Data
____________
(1)
Density functional theory data (ωB97M-V/def2-TZVPD) for a molecular structure, C24H34BF4N7SW in a non-equilibrium geometry.

Calculated values
Net charge: +2
E_LUMO (spin up / spin down) in eV: -7.77 / -7.84
Multiplicity: 1
Energy above the lowest of the compared OMol25 structures with the same formula, charge and spin in eV: 4.970

Positions of all 72 atoms, in Å:
W 0.334 -0.283 -0.460
N 0.407 0.835 5.409
C 0.496 0.006 4.136
C -0.808 0.106 3.362
C -1.018 1.395 2.537
N -1.301 1.026 1.129
C 0.207 2.316 2.557
C 1.490 1.517 2.253
N 1.438 1.026 0.876
C 1.719 0.417 3.318
H -0.423 0.567 5.945
H 0.339 1.828 5.179
H 1.230 0.693 6.001
H 0.615 -1.023 4.479
H -1.652 -0.055 4.036
H -0.807 -0.728 2.665
H -1.875 1.940 2.948
H -1.555 1.887 0.653
H -2.137 0.443 1.127
H 0.290 2.856 3.504
H 0.088 3.086 1.791
H 2.337 2.201 2.334
H 3.029 0.090 0.719
H 1.965 1.704 0.319
H 2.502 0.757 4.000
H 2.124 -0.454 2.807
N 1.552 -1.963 0.706
C 1.745 -3.320 0.152
C 0.556 -3.659 -0.732
N 0.226 -2.479 -1.559
H 2.460 -1.516 0.849
H 1.108 -2.069 1.615
H 1.841 -4.066 0.941
H 2.662 -3.339 -0.432
H -0.308 -3.900 -0.122
H 0.783 -4.536 -1.341
H -0.702 -2.624 -1.949
H 0.866 -2.460 -2.351
S 3.780 1.088 -3.198
C 4.120 -0.540 -2.826
C 3.153 -1.118 -2.061
C 2.061 -0.258 -1.720
C 2.298 0.985 -2.305
C 1.298 2.006 -2.286
C 1.360 3.164 -3.071
C 0.278 4.007 -3.136
C -0.864 3.663 -2.410
C -0.860 2.517 -1.660
N 0.202 1.687 -1.542
H 5.023 -0.997 -3.198
H 3.256 -2.150 -1.765
H 2.246 3.348 -3.661
H 0.289 4.888 -3.761
H -1.755 4.272 -2.462
H -1.779 2.214 -1.178
F -0.897 -3.148 2.433
B -1.908 -2.749 1.619
F -2.312 -3.578 0.663
F -2.799 -1.901 2.160
F -0.943 -1.566 0.678
N -5.837 -0.160 -4.894
C -4.899 -0.236 -4.237
C -3.745 -0.313 -3.398
C -2.460 -0.157 -3.918
C -1.370 -0.181 -3.067
C -1.487 -0.355 -1.677
C -2.788 -0.565 -1.206
C -3.901 -0.537 -2.033
H -2.328 -0.017 -4.983
H -0.386 -0.051 -3.512
H -2.980 -0.795 -0.165
H -4.892 -0.687 -1.627



(2)
Density functional theory data (ωB97M-V/def2-TZVPD) for a molecular structure, C24H34Ba2F6N2O20S4 in a non-equilibrium geometry.

Calculated values
Net charge: +2
E_LUMO in eV: -5.19
Multiplicity: 1
Energy above the lowest of the compared OMol25 structures with the same formula, charge and spin in eV: 0.000

Positions of all 92 atoms, in Å:
Ba 11.208 15.795 12.762
Ba 14.147 10.542 15.046
N 11.568 12.404 12.912
S 12.390 11.347 12.051
O 11.796 11.232 10.767
O 12.586 10.195 12.867
F 13.754 12.060 11.920
S 10.139 12.190 13.514
O 9.494 11.073 12.878
O 9.565 13.450 13.844
F 10.599 11.531 14.862
N 14.277 13.292 15.276
S 13.329 14.575 15.566
O 12.025 14.057 15.621
O 13.588 15.758 14.812
F 13.678 14.890 17.047
S 15.809 13.484 15.016
O 16.286 12.097 15.020
O 16.467 14.512 15.740
F 15.840 13.891 13.504
F 7.018 15.569 11.613
C 8.239 15.350 10.974
C 8.692 14.065 10.921
C 9.903 13.817 10.236
C 10.605 14.855 9.671
C 10.143 16.179 9.771
C 8.912 16.432 10.450
H 8.177 13.221 11.444
H 10.334 12.827 10.314
H 11.517 14.773 9.049
H 10.699 16.911 9.249
H 8.452 17.411 10.490
F 13.933 14.937 10.121
C 14.815 14.365 9.291
C 14.609 13.020 8.979
C 15.623 12.373 8.259
C 16.769 13.030 7.857
C 16.973 14.377 8.169
C 15.939 15.080 8.849
H 13.712 12.701 9.401
H 15.485 11.350 8.059
H 17.434 12.474 7.198
H 17.824 14.902 7.787
H 16.043 16.139 8.948
C 10.440 17.804 16.839
O 9.222 17.218 16.511
C 8.958 16.968 15.259
O 9.776 17.040 14.326
O 7.731 16.519 14.989
C 6.732 16.797 15.997
H 11.193 17.094 16.914
H 10.121 18.110 17.861
H 10.659 18.501 16.095
H 6.838 17.743 16.566
H 6.840 16.085 16.867
H 5.819 16.776 15.480
C 18.372 9.913 14.815
O 18.044 9.862 13.414
C 16.892 9.436 13.066
O 16.049 9.077 13.869
O 16.758 9.413 11.764
C 15.489 8.992 11.231
H 19.426 10.038 14.897
H 17.981 8.990 15.308
H 17.955 10.798 15.298
H 15.466 7.891 11.225
H 15.361 9.345 10.199
H 14.621 9.267 11.806
C 12.011 19.839 11.361
O 13.318 19.436 11.056
C 13.750 18.337 11.693
O 13.032 17.541 12.250
O 15.012 18.208 11.494
C 15.599 16.974 12.050
H 12.000 20.973 11.592
H 11.555 19.302 12.137
____________

## Job
Give back the whole of the block further up verbatim.

## Here it is
(1)
Density functional theory data (ωB97M-V/def2-TZVPD) for a molecular structure, C24H34BF4N7SW in a non-equilibrium geometry.

Calculated values
Net charge: +2
E_LUMO (spin up / spin down) in eV: -7.77 / -7.84
Multiplicity: 1
Energy above the lowest of the compared OMol25 structures with the same formula, charge and spin in eV: 4.970

Positions of all 72 atoms, in Å:
W 0.334 -0.283 -0.460
N 0.407 0.835 5.409
C 0.496 0.006 4.136
C -0.808 0.106 3.362
C -1.018 1.395 2.537
N -1.301 1.026 1.129
C 0.207 2.316 2.557
C 1.490 1.517 2.253
N 1.438 1.026 0.876
C 1.719 0.417 3.318
H -0.423 0.567 5.945
H 0.339 1.828 5.179
H 1.230 0.693 6.001
H 0.615 -1.023 4.479
H -1.652 -0.055 4.036
H -0.807 -0.728 2.665
H -1.875 1.940 2.948
H -1.555 1.887 0.653
H -2.137 0.443 1.127
H 0.290 2.856 3.504
H 0.088 3.086 1.791
H 2.337 2.201 2.334
H 3.029 0.090 0.719
H 1.965 1.704 0.319
H 2.502 0.757 4.000
H 2.124 -0.454 2.807
N 1.552 -1.963 0.706
C 1.745 -3.320 0.152
C 0.556 -3.659 -0.732
N 0.226 -2.479 -1.559
H 2.460 -1.516 0.849
H 1.108 -2.069 1.615
H 1.841 -4.066 0.941
H 2.662 -3.339 -0.432
H -0.308 -3.900 -0.122
H 0.783 -4.536 -1.341
H -0.702 -2.624 -1.949
H 0.866 -2.460 -2.351
S 3.780 1.088 -3.198
C 4.120 -0.540 -2.826
C 3.153 -1.118 -2.061
C 2.061 -0.258 -1.720
C 2.298 0.985 -2.305
C 1.298 2.006 -2.286
C 1.360 3.164 -3.071
C 0.278 4.007 -3.136
C -0.864 3.663 -2.410
C -0.860 2.517 -1.660
N 0.202 1.687 -1.542
H 5.023 -0.997 -3.198
H 3.256 -2.150 -1.765
H 2.246 3.348 -3.661
H 0.289 4.888 -3.761
H -1.755 4.272 -2.462
H -1.779 2.214 -1.178
F -0.897 -3.148 2.433
B -1.908 -2.749 1.619
F -2.312 -3.578 0.663
F -2.799 -1.901 2.160
F -0.943 -1.566 0.678
N -5.837 -0.160 -4.894
C -4.899 -0.236 -4.237
C -3.745 -0.313 -3.398
C -2.460 -0.157 -3.918
C -1.370 -0.181 -3.067
C -1.487 -0.355 -1.677
C -2.788 -0.565 -1.206
C -3.901 -0.537 -2.033
H -2.328 -0.017 -4.983
H -0.386 -0.051 -3.512
H -2.980 -0.795 -0.165
H -4.892 -0.687 -1.627



(2)
Density functional theory data (ωB97M-V/def2-TZVPD) for a molecular structure, C24H34Ba2F6N2O20S4 in a non-equilibrium geometry.

Calculated values
Net charge: +2
E_LUMO in eV: -5.19
Multiplicity: 1
Energy above the lowest of the compared OMol25 structures with the same formula, charge and spin in eV: 0.000

Positions of all 92 atoms, in Å:
Ba 11.208 15.795 12.762
Ba 14.147 10.542 15.046
N 11.568 12.404 12.912
S 12.390 11.347 12.051
O 11.796 11.232 10.767
O 12.586 10.195 12.867
F 13.754 12.060 11.920
S 10.139 12.190 13.514
O 9.494 11.073 12.878
O 9.565 13.450 13.844
F 10.599 11.531 14.862
N 14.277 13.292 15.276
S 13.329 14.575 15.566
O 12.025 14.057 15.621
O 13.588 15.758 14.812
F 13.678 14.890 17.047
S 15.809 13.484 15.016
O 16.286 12.097 15.020
O 16.467 14.512 15.740
F 15.840 13.891 13.504
F 7.018 15.569 11.613
C 8.239 15.350 10.974
C 8.692 14.065 10.921
C 9.903 13.817 10.236
C 10.605 14.855 9.671
C 10.143 16.179 9.771
C 8.912 16.432 10.450
H 8.177 13.221 11.444
H 10.334 12.827 10.314
H 11.517 14.773 9.049
H 10.699 16.911 9.249
H 8.452 17.411 10.490
F 13.933 14.937 10.121
C 14.815 14.365 9.291
C 14.609 13.020 8.979
C 15.623 12.373 8.259
C 16.769 13.030 7.857
C 16.973 14.377 8.169
C 15.939 15.080 8.849
H 13.712 12.701 9.401
H 15.485 11.350 8.059
H 17.434 12.474 7.198
H 17.824 14.902 7.787
H 16.043 16.139 8.948
C 10.440 17.804 16.839
O 9.222 17.218 16.511
C 8.958 16.968 15.259
O 9.776 17.040 14.326
O 7.731 16.519 14.989
C 6.732 16.797 15.997
H 11.193 17.094 16.914
H 10.121 18.110 17.861
H 10.659 18.501 16.095
H 6.838 17.743 16.566
H 6.840 16.085 16.867
H 5.819 16.776 15.480
C 18.372 9.913 14.815
O 18.044 9.862 13.414
C 16.892 9.436 13.066
O 16.049 9.077 13.869
O 16.758 9.413 11.764
C 15.489 8.992 11.231
H 19.426 10.038 14.897
H 17.981 8.990 15.308
H 17.955 10.798 15.298
H 15.466 7.891 11.225
H 15.361 9.345 10.199
H 14.621 9.267 11.806
C 12.011 19.839 11.361
O 13.318 19.436 11.056
C 13.750 18.337 11.693
O 13.032 17.541 12.250
O 15.012 18.208 11.494
C 15.599 16.974 12.050
H 12.000 20.973 11.592
H 11.555 19.302 12.137